
First changes

c(3rd Person POV)

Odin is currently standing on a hill, overlooking the castle, or rather the city that Cul has created for himself. 


He has come to Aesheim, soon to be Midgard, to deal with his problem. The serpent has grown arrogant and thinks itself a dragon. Odin isn't happy with what he will do, but it is what he has to do. He understands why the original Odin didn't kill Cul. He was his brother and they might have had a sense of kinship. But this was not a story. (lol)

This was the real deal and he wasn't willing to bet his life on assumptions. And he didn't have to either. Now using the power and knowledge he had over runes, he was nigh omniscient. He saw what would happen in the future. He knew of the 'prophesy'. But he didn't care about it. He was different and just like he told those who sit above in shadow (TWSAIS), he will show them that the Loom of Fate, has nothing on him. 

"How do you feel?", Gaea asked Odin. They were newlywed and as such, almost always together. That might seem logical but Odin was now the All-Father and as such he had responsibilities. Bor was dying and Bestla wasn't very skilled in fighting. He had plans with Asgard and especially the soon-to-be renamed Midgard. He would use his growing power and influence to shape the Earth as she will be called in the future. 


"Is that so? There is very little that ever gets to you is there?"

"You know me best, you tell me."

"Fufu, you and your jokes. You're right I do know you best. Now go before you decide otherwise.", Gaea said and kissed Odin on his cheek. 

"Aye, my lady. I apologize for the mess in advance.", Odin says and then jumps down the mountain. He lets his body be pulled and accelerated by gravity and then lands on his feet with a loud boom, alerting everyone to his presence and preparing them for what will follow. 


People of different races appear before Odin. They're dressed in armour and hold weapons. Odin on the other hand was dressed in his striking armour. He had an antlered helmet on and a blindfold which he had enchanted himself. 


"I have come for Cul Borson, the serpent. If you don't wish to die, I recommend you call him here immediately. I shall grant you a moment to think about it.", Odin declared proudly. Everyone looked at him questioningly and warily. No one said anything but they looked at each other to understand what the others thought about this. None of them did anything though. So Odin just stood there, giving them time as he said and waited for Cul's reaction. 

Odin has made his presence known and Cul had to decide whether he wanted his people and dolls to die or whether he would stand up for them and fight. Odin of course knew the decision of his brother, but that didn't mean that he wouldn't still give him time. 


Nothing happened and after a while, Odin sighed and looked at those around him. 

"Well? Are you all prepared to die for your lord and master?", he asked them knowing the answer to that. 

"Yes! We don't cower before anyone. The great serpent will make us free and grant us power for our loyalty.", one of the soldiers said and others began to join the screaming and praise of Cul. 

"I was not talking to you.", Odin says and looks directly at the 8 people holding different hammers standing next to Cul. The Worthy were standing next to Cul and were watching him like Cul was. Cul looked Odin directly in the eyes in defiance and slight shock as well. 


"We will always serve our lord.", Skadi says. 

"And we will gladly die for him if that guarantees his victory and glory.", Nerkkod adds. 

"Indeed.", the others also nod at this.

"A shame, you all are as unlucky as you are foolish since you have come all the way to my wife's planet only to forfeit your pathetic lives. So be it.", Odin says and then ... the air around him changed. The sky darkened. The sun was blocked by thunderous clouds. While the air grew oppressive the only thing that was shining, was Odin himself. Using the Odin Force and focusing it on his fists, Odin stood there as if he was about to judge this entire city. 


And he was.

He outstretched his hand and used his power over the sky as well as his full Conqueror Haki. The entire weight of the Sky came crashing down. It looked like the sky fell on these people's heads ... literally. The sky looked like a blanket that fell down where Odin wanted it to. He made sure that only this area was affected and those he wanted were crushed and not the planet or the ground itself. 


And after that he unleashed his full-powered Conqueror Haki, causing the sky he had pulled down to crack and break like glass. 


The world lost its colour and everything turned black and white with shades of red coming from Odin. The power behind this Conqueror's Haki release could affect the ground and cause enormous amounts of destruction. But Odin controlled it to only affect the city. 

The city ... was in shambles. Death and destruction are all that was seen for miles. While this should have taken multiple days to reach this place, Odin only took a few minutes to bring everything down and kill 99% of everyone who lived there. Smoke rose to the sky, debris was lying everywhere, hundreds of thousands of litres of blood and gore were lying everywhere and painted the earth red. 

(Inserted here: materials data)
____________
Run w
Computed, not measured: crystalline LiCo4O8 at its relaxed geometry at the GGA+U level of DFT.

CIF file:
```
data_LiCo4O8
_chemical_formula_sum 'Li2 Co8 O16'
_cell_length_a 5.619
_cell_length_b 5.637
_cell_length_c 10.538
_cell_angle_alpha 75.10
_cell_angle_beta 74.77
_cell_angle_gamma 60.35
_space_group_name_H-M_alt 'P -1'
_space_group_IT_number 2
loop_
_space_group_symop_operation_xyz
'x,y,z'
'-x,-y,-z'
loop_
_atom_site_label
_atom_site_type_symbol
_atom_site_fract_x
_atom_site_fract_y
_atom_site_fract_z
_atom_site_occupancy
Li1 Li 0.247 0.250 0.250 1
Co1 Co 0.000 0.000 0.000 1
Co2 Co 0.000 0.000 0.500 1
Co3 Co 0.000 0.500 0.000 1
Co4 Co 0.000 0.500 0.500 1
Co5 Co 0.500 0.000 0.000 1
Co6 Co 0.500 0.000 0.500 1
Co7 Co 0.500 0.500 0.000 1
Co8 Co 0.500 0.500 0.500 1
O1 O 0.133 0.138 0.097 1
O2 O 0.133 0.632 0.097 1
O3 O 0.134 0.640 0.596 1
O4 O 0.137 0.133 0.594 1
O5 O 0.364 0.367 0.905 1
O6 O 0.365 0.866 0.402 1
O7 O 0.366 0.860 0.904 1
O8 O 0.368 0.361 0.404 1
```

Results
- calculated density (g/cm3) = 4.450

---

Run x
Computed, not measured: crystalline LiCo4O8 at its relaxed geometry at the GGA+U level of DFT.

CIF file:
```
data_LiCo4O8
_chemical_formula_sum 'Li2 Co8 O16'
_cell_length_a 10.010
_cell_length_b 5.747
_cell_length_c 5.292
_cell_angle_alpha 90.00
_cell_angle_beta 108.22
_cell_angle_gamma 90.00
_space_group_name_H-M_alt 'C 1 2/m 1'
_space_group_IT_number 12
loop_
_space_group_symop_operation_xyz
'x,y,z'
'-x,-y,-z'
'-x,y,-z'
'x,-y,z'
'x+1/2,y+1/2,z'
'-x+1/2,-y+1/2,-z'
'-x+1/2,y+1/2,-z'
'x+1/2,-y+1/2,z'
loop_
_atom_site_label
_atom_site_type_symbol
_atom_site_fract_x
_atom_site_fract_y
_atom_site_fract_z
_atom_site_occupancy
Li1 Li 0.000 0.000 0.000 1
Co1 Co 0.000 0.251 0.500 1
Co2 Co 0.246 0.500 0.483 1
O1 O 0.108 0.000 0.704 1
O2 O 0.111 0.500 0.686 1
O3 O 0.125 0.238 0.303 1
```

Results
- calculated density (g/cm3) = 4.257
- size of the total moment (μB per cell) = 17.999

---

Energy comparison, zero being the most stable, in kJ/mol of atoms: run w 0.0; run x 13.9.

---

Run w
Computed, not measured: crystalline LiVP3O9 at its relaxed geometry at the GGA+U level of DFT.

CIF file:
```
data_LiVP3O9
_chemical_formula_sum 'Li4 V4 P12 O36'
_cell_length_a 8.571
_cell_length_b 8.613
_cell_length_c 9.023
_cell_angle_alpha 90.00
_cell_angle_beta 90.00
_cell_angle_gamma 90.00
_space_group_name_H-M_alt 'P 21 21 21'
_space_group_IT_number 19
loop_
_space_group_symop_operation_xyz
'x,y,z'
'-x+1/2,-y,z+1/2'
'x+1/2,-y+1/2,-z'
'-x,y+1/2,-z+1/2'
loop_
_atom_site_label
_atom_site_type_symbol
_atom_site_fract_x
_atom_site_fract_y
_atom_site_fract_z
_atom_site_occupancy
Li1 Li 0.106 0.120 0.088 1
V1 V 0.119 0.903 0.360 1
P1 P 0.061 0.051 0.682 1
P2 P 0.067 0.279 0.432 1
P3 P 0.226 0.441 0.942 1
O1 O 0.021 0.209 0.592 1
O2 O 0.062 0.880 0.125 1
O3 O 0.113 0.480 0.801 1
O4 O 0.122 0.091 0.833 1
O5 O 0.122 0.152 0.331 1
O6 O 0.128 0.380 0.068 1
O7 O 0.139 0.656 0.390 1
O8 O 0.160 0.943 0.590 1
O9 O 0.211 0.389 0.484 1
```

Results
____________

And yet among all this destruction, slow footsteps were heard. 

*Tap Tap Tap*

Slow and steady they were getting closer. Where once the throne room was of Cul's city, lay Cul together with his mostly crushed Worthy. Cul and the Worthy only survived because he used all of the fear his subjects had for him to empower him and increase his durability. At least that is what he believed. At this point, Odin could swipe his hand and everyone would fall to the ground dead. But that's not what he wanted. 

*Cough cough ...*

"My worthy ... s-stand .... up and ... fi-figh-t...", Cul's words were slurred and he had blood coming out of his mouth. All of his bones were broken, his organs crushed. He was slowly healing himself through fear but it wasn't going as he thought it did. That was obvious because what was dead, could not fear him. And 99% of his forces were dead. 

*Tap Tap Tap*

 The footsteps seemed to get louder as Odin made his way towards Cul. 

"I don't under-stand ... this ... thing in me ... this thing I'm feeling ... what ... what is this?", Cul muttered. 

"This is what it feels like. Outside of this room. In your shadow.", Skadi managed to say as the light in her eyes slowly died out. 

"He can't kill me .. he knows that I know that. Wo what does he hope to accomplish?", Cul asked no one, since there was no one alive anymore. 


The wall to the room was destroyed and Odin walked in. 

"Brother, you look bad.", Odin said looking down on Cul, who had an angry expression on his face. 

"your brother is dead! And I killed him. I am the- *cough* the serpent that will feast on the world ... Odin. You can't kill me .. you can never kill me. We are bound in blood!"

"'In anger smites the warder of earth. Forth from their homes must all men flee; nine paces fares the son of Odin and slain by the serpent. Fearless he sinks.' Yggdrasill told me about this prophecy. I had to laugh when I heard it.", Odin says. 

"You have no son and if you think you'll ever live to have one ... you'd have to slaughter each and every one of my people. Everything I have touched, every soul I have warped. My infection spreads deep, little Odin. Do you really think you can kill them all?", Cul said and tried to attack Odin now that he had managed to stand up again. 

"That's not why I laughed, Cul.", Odin says and flicks the weapon of Cul away, "I laughed because the prophecy is wrong. I have decided to give you a choice, brother. An ultimatum, one last chance. Either I wipe your mind clean and you start again and you come back to serve Asgard and me as your King, like it was meant to be, or ... I kill you now. I see everything now, with a thought my hand can reach across the ten realms and strike every one of the poor souls that you have ruined. 

So tell me now, brother. What do you choose?"

Odin knew that 'Those who sit above in shadow' influenced this prophecy to cause more death and destruction to feast on. But they also did it because they thought they could fool Odin and make him do what they wanted by not killing Cul and instead sealing him. But little did they know that this would be the first of countless changes Odin causes. 

The prospect of wiping Cul's mind was preposterous, to say the least. Why would he want to do that? Well, Odin would then basically make Cul a poppet, a loyal subject to be used for the good of Asgard. It was cruel. Odin could also take away Cul's power, but then he would be of no use to him anymore. 


"As you wish. Farewell brother.", Odin says as he dodges another strike. He then puts his palm on Cul's head and uses the power of runes to destroy Cul completely. He does first take his power away from him and only then kills him. 


After everything is done, Odin can feel the future changing. He can tell that this was not expected. They didn't expect Odin to kill his brother, but Odin was a king now, the All-Father and he had a responsibility to the ten realms. He would rule differently than he did in his past incarnations. And this was only the first of many changes, Odin had much more planned. 

Now that Gaea was his wife, there would be a lot of gods missing from Midgard. And those spots had to be filled by someone. He would take that spot and improve the conditions as well as help guide humans in the future. He was still thinking of whether he should separate the supernatural from the mundane or not. 

Odin waves his hands again and rises into the air. He begins cleaning the area with the Odin Force. He has already taken all of the weapons and shields and stored them with his 'Gates of Odin', at least that's what he calls it for now. He couldn't call it the Gates of Babylon. So Gates of Odin was sufficient for now. 

Then he made all of the debris float into the air and began to separate the useless materials from the useful ones and also sorted them into piles of the same material and metal. He created a portal to the sun and sent the useless things, as well as all the bodies, at least of those that still had bodies, through. 


"Are you finished, love?"

"Aye. There is still a lot of blood, but maybe you can deal with that if you want."

"I don't think it's a problem. How do you feel about being the master of your own destiny?", Gaea asks.

"Good. I probably also wouldn't have taken that deal, so I understand my brother's choice. It wasn't easy though."

"I can imagine. So what now? Are you going to hunt down the followers of Cul?"

"No, I will wipe Cul from the minds of everyone in the ten reams. No one will suffer and be forced to resurrect him after that."

"Our minds as well?"

"No, we are strong enough to deal with that knowledge. And even if Cul somehow came back, it wouldn't be the same one as I have destroyed him completely and taken away his power."

"So any plans for the rest of the day?", Gaea asks with a grin.

"No. What do you have in mind?"

